Listing
# C38H46BN6OSSi2SnTe

A molecular structure, C38H46BN6OSSi2SnTe (ωB97M-V with the def2-TZVPD basis set, the Open Molecules 2025 dataset).

Values from the calculation:
E_tot = -3363.28436 a.u.
Molar mass = 948.19 g/mol
Frontier orbital gap = 6.07 eV
Total charge = +1
Highest occupied orbital energy = -10.001 eV
2S+1 = 1
F_max = 11.1 eV/Å

Each line ends with the Löwdin charge.
Positions of all 97 atoms, in Å:
Te1 0.0000 -2.7660 0.0000  1.327
Sn1 0.0000 0.0000 0.0000  0.827
S1 -1.7348 0.0000 4.0957  1.049
Si1 3.2913 -2.8724 -0.4125  0.352
Si2 -1.4001 -5.5421 -1.1024  0.329
O1 -0.0614 8.9781 -9.1465  -0.073
N1 1.1648 1.1648 1.1648  -0.241
N2 -0.0220 3.6943 -5.3250  0.186
N3 -0.0216 5.2526 -3.7678  0.187
N4 -2.0376 0.0000 0.1778  -0.047
N5 0.0000 0.0324 -2.0355  -0.060
N6 0.0000 2.0358 -0.0324  -0.016
C1 -0.0397 8.3503 -6.9067  0.014
C2 -0.0444 0.0000 4.3824  -0.337
C3 -0.0105 0.7605 -4.7226  0.061
C4 3.1773 -1.3628 -1.5064  -0.204
C5 4.9557 -2.8921 0.4316  -0.180
C6 -0.2360 -4.8902 0.2092  -0.539
C7 -0.0562 6.5921 -8.5440  -0.001
C8 0.6762 0.0000 3.2076  -0.169
C9 -4.2861 0.0000 -0.6998  -0.035
C10 -3.0802 -4.7466 -0.9183  -0.188
C11 -2.5659 0.0000 1.4221  -0.254
C12 -0.0781 8.6219 -10.5234  -0.073
C13 -0.7267 -5.1866 -2.8083  -0.189
C14 -0.0049 1.3563 -2.3476  -0.136
C15 1.8329 1.8324 1.8332  -0.173
C16 0.0000 3.0153 0.8991  -0.060
C17 -0.0053 -0.5793 -4.3708  0.000
C18 -0.0303 7.4047 -5.8740  -0.018
C19 -0.0103 1.7379 -3.7118  -0.049
C20 -1.5727 -7.3886 -0.8931  -0.184
C21 -3.9309 0.0000 1.6770  0.017
C22 -0.1778 0.0000 2.0741  -0.354
C23 -0.0468 5.6454 -7.5112  -0.006
C24 3.1237 -4.4079 -1.4611  -0.183
C25 -4.8032 0.0000 0.5911  -0.017
C26 -0.0529 7.9517 -8.2440  -0.270
C27 -0.0048 4.3624 0.6021  0.026
C28 -0.0158 3.1002 -4.0818  -0.168
C29 -0.0256 5.0000 -5.1209  -0.230
C30 -0.0049 2.3530 -1.3511  -0.110
C31 -0.0155 4.0612 -3.0861  -0.124
C32 -2.9095 0.0000 -0.8538  -0.083
C33 -0.0341 6.0341 -6.1632  -0.161
C34 -0.0002 -0.8890 -3.0260  -0.126
C35 -0.0101 3.7234 -1.7193  -0.050
C36 1.9517 -2.8214 0.8934  -0.530
C37 -0.0100 4.7293 -0.7340  0.050
C38 -1.5087 0.0000 2.4069  -0.536
B1 2.7242 2.7224 2.7251  -0.364
H1 -0.0497 4.5863 -7.7676  0.116
H2 0.0039 -1.9218 -2.6889  0.038
H3 -4.9394 0.0000 -1.5651  0.117
H4 -0.6385 -5.1255 1.2156  0.034
H5 -0.6150 -4.0919 -2.9469  -0.001
H6 5.7578 -2.9203 -0.3341  0.044
H7 -2.2634 -7.7849 -1.6656  0.044
H8 -0.0366 9.4111 -6.6656  0.126
H9 -1.9784 -7.6098 0.1151  0.043
H10 -5.8775 0.0000 0.7521  0.124
H11 -0.0660 6.2283 -9.5659  0.109
H12 1.7508 0.0000 0.0000  0.088
H13 -3.4842 -4.9672 0.0908  0.046
H14 3.6662 3.0948 2.0986  0.014
H15 -0.0045 5.1038 1.3928  0.133
H16 -3.7665 -5.1537 -1.6889  0.046
H17 3.2868 -0.4489 -0.8875  0.021
H18 2.1939 -1.3475 -2.0192  -0.009
H19 0.3360 0.0000 5.3946  0.080
H20 -0.0052 -1.3590 -5.1232  0.126
H21 2.1431 -4.3969 -1.9764  0.010
H22 -0.0848 9.5471 -11.1077  0.098
H23 -0.0139 5.7833 -0.9901  0.124
H24 -0.0239 6.1672 -3.3458  0.151
H25 0.0042 2.6664 1.9281  0.139
H26 0.7415 -5.3911 0.0603  0.024
H27 -0.0146 1.0497 -5.7712  0.134
H28 5.0305 -3.7894 1.0794  0.042
H29 -0.0198 7.7746 -4.8542  0.104
H30 -2.4565 0.0000 -1.8412  0.113
H31 3.0959 2.0943 3.6662  0.018
H32 1.7574 0.0000 3.1619  0.110
H33 2.0313 -3.7081 1.5550  0.040
H34 -1.4278 -5.5844 -3.5703  0.047
H35 0.8220 8.0616 -10.7970  0.098
H36 -2.9904 -3.6489 -1.0493  0.013
H37 2.0737 -1.9225 1.5316  0.007
H38 -0.9851 8.0624 -10.7753  0.098
H39 5.0666 -1.9782 1.0505  0.044
H40 0.2598 -5.6791 -2.9258  0.040
H41 3.9351 -4.4287 -2.2170  0.048
H42 2.0975 3.6641 3.0982  0.016
H43 3.9863 -1.3958 -2.2646  0.052
H44 3.1962 -5.3073 -0.8161  0.045
H45 -4.3229 0.0000 2.6872  0.119
H46 -0.5781 -7.8670 -1.0054  0.043


Entry 1:
{
  "formula": "C56H65BN3O27SSi2",
  "method": "ωB97M-V/def2-TZVPD",

What to do
Next, repeat the lines above up to the one that holds "H39 5.0666", that line included.

Outcome
# C38H46BN6OSSi2SnTe

A molecular structure, C38H46BN6OSSi2SnTe (ωB97M-V with the def2-TZVPD basis set, the Open Molecules 2025 dataset).

Values from the calculation:
E_tot = -3363.28436 a.u.
Molar mass = 948.19 g/mol
Frontier orbital gap = 6.07 eV
Total charge = +1
Highest occupied orbital energy = -10.001 eV
2S+1 = 1
F_max = 11.1 eV/Å

Each line ends with the Löwdin charge.
Positions of all 97 atoms, in Å:
Te1 0.0000 -2.7660 0.0000  1.327
Sn1 0.0000 0.0000 0.0000  0.827
S1 -1.7348 0.0000 4.0957  1.049
Si1 3.2913 -2.8724 -0.4125  0.352
Si2 -1.4001 -5.5421 -1.1024  0.329
O1 -0.0614 8.9781 -9.1465  -0.073
N1 1.1648 1.1648 1.1648  -0.241
N2 -0.0220 3.6943 -5.3250  0.186
N3 -0.0216 5.2526 -3.7678  0.187
N4 -2.0376 0.0000 0.1778  -0.047
N5 0.0000 0.0324 -2.0355  -0.060
N6 0.0000 2.0358 -0.0324  -0.016
C1 -0.0397 8.3503 -6.9067  0.014
C2 -0.0444 0.0000 4.3824  -0.337
C3 -0.0105 0.7605 -4.7226  0.061
C4 3.1773 -1.3628 -1.5064  -0.204
C5 4.9557 -2.8921 0.4316  -0.180
C6 -0.2360 -4.8902 0.2092  -0.539
C7 -0.0562 6.5921 -8.5440  -0.001
C8 0.6762 0.0000 3.2076  -0.169
C9 -4.2861 0.0000 -0.6998  -0.035
C10 -3.0802 -4.7466 -0.9183  -0.188
C11 -2.5659 0.0000 1.4221  -0.254
C12 -0.0781 8.6219 -10.5234  -0.073
C13 -0.7267 -5.1866 -2.8083  -0.189
C14 -0.0049 1.3563 -2.3476  -0.136
C15 1.8329 1.8324 1.8332  -0.173
C16 0.0000 3.0153 0.8991  -0.060
C17 -0.0053 -0.5793 -4.3708  0.000
C18 -0.0303 7.4047 -5.8740  -0.018
C19 -0.0103 1.7379 -3.7118  -0.049
C20 -1.5727 -7.3886 -0.8931  -0.184
C21 -3.9309 0.0000 1.6770  0.017
C22 -0.1778 0.0000 2.0741  -0.354
C23 -0.0468 5.6454 -7.5112  -0.006
C24 3.1237 -4.4079 -1.4611  -0.183
C25 -4.8032 0.0000 0.5911  -0.017
C26 -0.0529 7.9517 -8.2440  -0.270
C27 -0.0048 4.3624 0.6021  0.026
C28 -0.0158 3.1002 -4.0818  -0.168
C29 -0.0256 5.0000 -5.1209  -0.230
C30 -0.0049 2.3530 -1.3511  -0.110
C31 -0.0155 4.0612 -3.0861  -0.124
C32 -2.9095 0.0000 -0.8538  -0.083
C33 -0.0341 6.0341 -6.1632  -0.161
C34 -0.0002 -0.8890 -3.0260  -0.126
C35 -0.0101 3.7234 -1.7193  -0.050
C36 1.9517 -2.8214 0.8934  -0.530
C37 -0.0100 4.7293 -0.7340  0.050
C38 -1.5087 0.0000 2.4069  -0.536
B1 2.7242 2.7224 2.7251  -0.364
H1 -0.0497 4.5863 -7.7676  0.116
H2 0.0039 -1.9218 -2.6889  0.038
H3 -4.9394 0.0000 -1.5651  0.117
H4 -0.6385 -5.1255 1.2156  0.034
H5 -0.6150 -4.0919 -2.9469  -0.001
H6 5.7578 -2.9203 -0.3341  0.044
H7 -2.2634 -7.7849 -1.6656  0.044
H8 -0.0366 9.4111 -6.6656  0.126
H9 -1.9784 -7.6098 0.1151  0.043
H10 -5.8775 0.0000 0.7521  0.124
H11 -0.0660 6.2283 -9.5659  0.109
H12 1.7508 0.0000 0.0000  0.088
H13 -3.4842 -4.9672 0.0908  0.046
H14 3.6662 3.0948 2.0986  0.014
H15 -0.0045 5.1038 1.3928  0.133
H16 -3.7665 -5.1537 -1.6889  0.046
H17 3.2868 -0.4489 -0.8875  0.021
H18 2.1939 -1.3475 -2.0192  -0.009
H19 0.3360 0.0000 5.3946  0.080
H20 -0.0052 -1.3590 -5.1232  0.126
H21 2.1431 -4.3969 -1.9764  0.010
H22 -0.0848 9.5471 -11.1077  0.098
H23 -0.0139 5.7833 -0.9901  0.124
H24 -0.0239 6.1672 -3.3458  0.151
H25 0.0042 2.6664 1.9281  0.139
H26 0.7415 -5.3911 0.0603  0.024
H27 -0.0146 1.0497 -5.7712  0.134
H28 5.0305 -3.7894 1.0794  0.042
H29 -0.0198 7.7746 -4.8542  0.104
H30 -2.4565 0.0000 -1.8412  0.113
H31 3.0959 2.0943 3.6662  0.018
H32 1.7574 0.0000 3.1619  0.110
H33 2.0313 -3.7081 1.5550  0.040
H34 -1.4278 -5.5844 -3.5703  0.047
H35 0.8220 8.0616 -10.7970  0.098
H36 -2.9904 -3.6489 -1.0493  0.013
H37 2.0737 -1.9225 1.5316  0.007
H38 -0.9851 8.0624 -10.7753  0.098
H39 5.0666 -1.9782 1.0505  0.044